Been a little while since we last spoke. There just hasn't been much going on betting-wise, unfortunately. When sports finally do start back up I anticipate I'll be updating much more frequently. But until then, let's focus back on politics where there has been A LOT of changes and a lot to discuss.
But first I want to correct something I wrote about in my last post about the lottery. Turns out I did the math wrong. Ever since I made that post it's been bugging me a little bit - it seemed a little too good to be true and I really wasn't 100% on the math. I did some digging and more research and it was way more complicated than I initially thought. Luckily my overall hunch was right - I am making +EV bets on these. But the edge is small; something like 52%. So it's still worth betting at even odds but not anything worse than that. To that dude that commented that he could get them at -130, sorry but it's a bad bet. Hope I didn't cost you or anyone else any money betting on those. Although if I did, look at the bright side; your bookie probably thinks you're a fish so at the very least you should have more runway time at your account.
Which actually reminds me of a really good piece of advice that not many people know. I forget if I've mentioned this on here or not but either way it's worth repeating. This only applies to PPH users (though I suppose you could work this out at a regular book too). If you have a PPH account, a good reputation and either a really good or really bad agent, you can sometimes negotiate a percentage off of your weekly losses. It's very simple - if you get, say, 10% off of weekly losses and you lose 1k in a week, you just owe 900. But then if you win 1k the next week, you get the whole 1k. So you can see how profitable this is. Even if you're just a breakeven bettor you'll be in +EV land. The best is when you have two or more accounts that have this kind of deal. Then you can do massive 0EV arbs (aka bet Team A money line at -120 and their opponent money line at +120) and still make money. The goal is to simply "move" money from one account to the other. If you had 10% off of weekly losses, did all 0EV arbs and got one account to +5k and the other account to -5k in a week, you win 500 bucks. All without actually having to actually win any money.
The best time to ask for this is during a downswing. Say you have three bad weeks in a row. When you meet your agent the third week and pay him no problem, he's going to be close to ecstatic. Remember, these guys get stiffed all the time and that's usually how it happens. Someone losses a few weeks in a row, they pay up every week, then they just disappear without paying after the last week. The bookie rarely goes after him since he just got crushed 2 or 3 or more weeks in a row anyway. It's so common that it's almost expected with new players, especially ones my age at the time. So when you show up with a full envelope and no problems, he's going to be very happy thinking he has an actual whale on the hook. That's the time to ask.
I had a dream of an account back when I was just starting out to get really into this. The agent was a solid but clueless older guy and we never had any issues. I had a 4 or 5 week BRUTAL downswing one time and every week I went to him and paid him no problem. My other bookie friend at the time told me about how he gives a couple of his better customers a percentage off of their weekly losses. I had never heard about this before but it was like kindling in my little sports betting brain. So I came up with a plan; the next time I had a big weekly loss I went in and as I handed him the envelope I said I had another account with a different agent who offered me 10% off of weekly losses. I said I really didn't like the other guy and his site though and would much rather put my action in with him and his account if he can match the offer. (Whether you have the other account or not doesn't matter, obviously). He ended up giving me a ridiculous 20% off (he must have thought I'd be bleeding money to him for years) and for the next couple months I beat him up so bad that he got so buried in makeup that he literally quit being an agent altogether (and stiffed me the last week and disappeared from his job).
[Fun aside; I was always confused as to why they didn't cut me off sooner from this account. I'm not kidding when I say I absolutely crushed him at the end, and it lasted for months. He just kept paying me, week after week. It would have been a bloodbath even without the 20% off the losing weeks, but you can imagine. I found out later that his 'boss' was out of the country the whole time and cut me off as soon as he got home and found out. He actually called me on the phone and we had one of the most bizarre phone conversations I've ever had. Apparently he lived with and ran the book with his mother which he kept mentioning for some reason. And he was mad at me for never tipping the agent. LOL I still remember him saying 'back in the day when a guy won $xxxxx in a week he'd tip his agent a hundred bucks!' And I shot back 'I never got a tip in the 2 months before that when I was getting killed'. And he goes (I'll never forget his exact words) 'ok ok you're right. Let us forget that and NEVER SPEAK OF IT AGAIN.' And he had the most effeminate voice. He sounded exactly like Mark Harris when he used to go on Howard Stern. I know you don't know who Mark Harris is so google it, it'll be worth it. Oh and then he called me back and started talking to me ABOUT me, thinking he called the agent. One of my biggest regrets is cutting him off and not letting him go on and on. It really was fucking weird.]
Anyway, the shorter the time period of the percentage off of losses the better. Weekly is standard, which is the best way to do it. I did have one account though that gave me a piece off of monthly losses which isn't great but better than nothing. 5-10% is standard, 15% is great and anything above that is highway robbery. So if you have been betting and losing on the lottery because of me, now would be a perfect time to request it. Even at 5% a week, you'll more than make up for anything you might have lost.
<<<
ORCA calculation (ωB97M-V/def2-TZVPD) on 2 unconnected molecules or ions with the total composition C4H13N2 in a non-equilibrium geometry.

Values from the calculation:
Total charge: +1
Energy above the lowest of the compared OMol25 structures with the same formula, charge and spin: 7.631 eV
F_max: 6.75 eV/A
LUMO: -9.25 eV
Energy: -7325.8563 eV

Last column: natural (NBO) charge in e.
CARTESIAN COORDINATES (ANGSTROEM)
C: 0.2556 1.9031 1.8844  -0.117
N: -1.1331 1.6290 1.8217  -0.697
C: 1.0392 0.8807 0.8454  -0.361
N: 0.2260 0.8381 -0.3126  -0.069
C: 0.4163 -2.2431 -1.4087  -0.567
C: -0.9996 -1.8098 -1.7180  -0.628
H: 0.5598 2.8688 1.4954  0.238
H: 0.5619 1.8484 2.9543  0.244
H: -1.1894 1.1551 0.8551  0.379
H: -1.7666 2.4473 1.7139  0.424
H: 2.0795 1.1600 0.7363  0.244
H: 1.0716 -0.0672 1.3922  0.322
H: 0.8773 -2.4817 -2.4029  0.233
H: 0.7364 1.3893 -0.8519  0.334
H: 1.0384 -1.3483 -0.8313  0.152
H: 0.4803 -3.1662 -0.7765  0.233
H: -1.0430 -0.8574 -2.2555  0.200
H: -1.6024 -2.5121 -2.3197  0.237
H: -1.6083 -1.6341 -0.8215  0.199

----------

(1)
Molecular formula: C21H44O13
Method: DFT, ωB97M-V with the def2-TZVPD basis set

Last column: Mulliken charge in e.
Geometry (Å):
O  6.575058  1.550329  -1.176845  -0.639
C  5.535784  2.211694  -1.210315  0.540
O  4.739361  2.414856  -0.207150  -0.341
C  3.593035  3.167545  -0.580163  -0.166
C  3.488734  2.792929  -2.004835  0.247
C  4.973448  2.733943  -2.497907  -0.530
H  3.804105  4.190835  -0.269619  0.293
H  2.683310  2.839166  -0.077507  -0.051
H  2.984935  3.634208  -2.480816  0.162
H  2.899755  1.890971  -2.171203  -0.124
H  5.637352  3.591340  -2.608368  0.301
H  5.219547  1.992020  -3.257561  0.283
O  0.668820  2.368835  -3.296613  -0.536
C  0.902385  2.361720  -4.473175  0.389
O  0.977102  1.170952  -5.094440  -0.312
C  1.185969  1.273639  -6.528451  -0.402
C  0.934687  2.803284  -6.783008  -0.621
C  1.098236  3.534171  -5.488334  -0.368
H  0.422325  0.727980  -7.082718  0.278
H  2.142022  0.927237  -6.920960  0.289
H  0.106089  2.980350  -7.468704  0.375
H  1.771656  3.220143  -7.343193  0.264
H  0.282220  4.256147  -5.519438  0.286
H  2.076599  3.987260  -5.328284  0.336
O  -1.363135  -1.771366  1.166895  -0.778
C  -1.077152  -0.691593  0.599979  0.843
O  -0.540851  0.216023  1.358284  -0.037
C  -0.162238  1.333943  0.611361  -0.543
C  -0.275702  0.911827  -0.885356  0.415
C  -1.212133  -0.224049  -0.727850  -0.405
H  0.835692  1.618104  0.945238  0.241
H  -0.920878  2.047980  0.931868  0.170
H  0.599588  0.643342  -1.476859  -0.439
H  -0.667650  1.796885  -1.386510  0.318
H  -1.127681  -1.102684  -1.367356  0.000
H  -2.237260  0.069892  -0.953250  0.111
O  -1.116103  -3.859096  5.891402  -0.765
C  -0.130861  -3.393474  5.245506  0.517
O  -0.354952  -2.291756  4.467820  -0.072
C  0.889217  -1.874949  3.821323  -0.064
C  1.901006  -2.560970  4.715585  -0.819
C  1.312742  -3.819027  5.320227  -0.479
H  1.149342  -0.816445  3.819232  0.236
H  0.715093  -2.355462  2.858572  0.124
>>>
_The entry goes on_
Now let's switch to the only thing really going on right now. Politics. Ugh, I know. Isn't it the worst. As usual when there's a big Team One Side vs Team Other Side national debate I find myself disagreeing vehemently with both sides. 'Defunding the police' is such a comically bad idea (and terrible slogan), and the stats on police brutality just simply do not add up to what the left is saying, at all. But at the same time, policing in this country does need reform. I mean, as a libertarian and an American and just a human being, the thought of an agent of the state, with over 10 complaints of excessive force on his record, kneeling on a mans neck until he dies, in broad daylight knowing he's being filmed, is awful.
I think it comes down to two big things; police unions and the fact that we ask cops to do too much. Police unions are the reason why a cop with dozens complaints of excessive force is not only still on the street, but feels empowered to behave that way. I think that part is key. If cops didn't know that they had a union behind them that will protect them, and very effectively at that, no matter what, I think you might see overall attitudes change.
I also think that we simply ask cops to do too much. Think about the spectrum of events a police officer is expected to handle. Imagine what it takes to respond to an active shooter situation, or to stop an armed robbery, or be in a high speed chase with a guy shooting out the window at you, or handle violent, belligerent people day after day. It takes a certain kind of person for which a society absolutely does need. Now do we need this person to respond to calls on the very end of the other side of the spectrum? Minor traffic infractions, public intoxication, maybe some non-violent domestic disputes or whatever else is considered easy by police. Get their feedback. Anything where there's like less than 2% chance of having to pull a gun. We ask cops to do the work of social workers, but would never ask a social worker to do the job of a cop. Imagine a guidance counselor in a shootout. It's preposterous. Maybe we should be thinking of that the other way around too. Oh and pay them more! Then you'll get better applicants. Less armored SWAT tanks for suburban towns, and more money towards payroll. You could even use incentives; pay cops a little bonus every month they don't have a complaint or something like that.
Anyway, those are my thoughts whatever it's worth. As for the markets, there have been some big moves. In general, everything is moving in the Democrats favor. The overall presidency market, all the state markets and those for the house and senate have moved in favor of the left. I jumped on quite a few state markets early and got in at some really good prices. I'll post them here because they're part of my overall position on this election obviously, but I put them in so long ago and the prices are so far gone that it won't be much use to anyone. Right now I'm really heavy on Democrats. I have bets on them to win the House and Senate and now a bunch of states. I'd like to start buying back on Republicans because I don't think their price is going to get much worse, but as usual I'm up against limits and places to bet. I might have some new accounts on the horizon actually which would be awesome, but we'll see.
The most interesting market though, of course, is the VP market. BIG changes here. Klobuchar went from the favorite to taking herself out of the nomination process altogether after the George Floyd incident. It now seems like there is literally zero chance that the winner will be anything other than a black woman. Kamala Harris has seen her price shoot all the way up to a current high of 54% and is now very much the clear favorite. Val Demings is in second at 16% (topped out at 23% a few weeks ago) and in third is Susan Rice at 13% (topped out at 18% mid June). Liz Warren is in a distant 4th at 6% and there's a bunch at 3-5%.
I may have lost my mind quite a bit in this market and now have way more invested in it than I would have liked. Almost 25 units total. All my Klobuchar and Whittmer bets are toast, and the nibbles on Baldwin, Buttigegigig, Abrams, Grisham and Duckworth have added up. Here's what I have, in total in this market:
Harris: risk 12u to win 20u (+165)
Klobuchar: risk 3u to win 19.1u (+635)
Warren: risk 2.3u to win 30.2u (+1400)
Demings: risk 2.25u to win 20.1u (+930)
Whitmer: risk 2.8u to win 18u (+640)
Duckworth: risk .6u
Mayor Pete: risk .4u
Baldwin: risk .3u
Abrams: risk .75u
Grisham: risk .4u
I think I probably made too many bets here but other than the Mayor Pete one and maybe Grisham, none of them were really outright disasters. I got in good and early on Harris at +285 and +275 but as things changed over the past couple weeks I had to go kind of heavy on +175, and then +125, and even a little at even odds, which brought my overall position down quite a bit. So as you can see, if it's Harris or Warren I show a good profit. If it's Klobuchar, Demings, Whitmer or Duckworth I about break even. If it's Abrams or Grisham or Baldwin it's not too bad, and anyone else and it's a bloodbath.
The obvious exposure here is Susan Rice. Right now she's at 13%, so I have a 13% chance of getting scooped totally. That is not ideal. I can't find anything resembling a good price for her, and even if I could, I can't keep chasing every woman who shows up in this market. I mean, did Gretchen Whitmer ever really have a chance? Or Stacey Abrams? To be Vice President Of The United States? I don't know. If I had kept it to Klobuchar, Warren and Harris the whole way I'd be really looking pretty. Then I could buy some Rice insurance.
Between two parts of the article: molecular data:
<<<
Here is a molecular structure, C2H4N4 at a distorted geometry from OMol25. Energies are from wB97M-V/def2-TZVPD.

Each line ends with the Mulliken charge.
Positions of all 10 atoms, in Å:
1 N 0.46745 -1.04027 1.57687  -0.3040
2 N 1.44764 -0.75124 0.83009  -0.0021
3 N -0.22775 1.06065 -1.59522  -0.4288
4 N 1.41395 -0.22101 -0.22927  -0.2340
5 C -0.35327 0.33197 -0.46352  0.2196
6 C -1.06858 -0.03976 0.51337  -0.3547
7 H -1.01287 1.27373 -2.15797  0.2232
8 H -1.91987 -0.34190 1.08431  0.3999
9 H 0.59299 0.88164 -2.12927  0.2576
10 H 0.66029 -1.15382 2.57061  0.2233

Its spin multiplicity is 1. Its LUMO energy is 0.0206 Eh. For the electronic energy, the calculation gives -297.464908 a.u. The energy above the lowest of the compared OMol25 structures with the same formula, charge and spin is 4.882 eV. The orbital gap comes out at 9.43 eV.

Here is C8H7N in the gas phase at a distorted geometry from OMol25. Energies are from wB97M-V/def2-TZVPD.

Each line ends with the Mulliken charge.
Positions of all 16 atoms, in Å:
1 N 3.02465 0.58210 0.16826  -0.5181
2 C -1.46878 1.41047 -0.04714  -0.4210
3 C -2.31690 0.31760 -0.10689  -0.4547
4 C 1.87736 -0.36445 0.44097  -0.1817
5 C -1.79246 -0.95721 0.01458  -0.4432
6 C -0.43373 -1.12778 0.20799  -0.4458
7 C 0.43160 -0.03771 0.26746  0.3857
8 C 2.79667 -0.29700 -0.68889  -0.3652
9 C -0.10972 1.23641 0.13400  -0.2454
10 H -2.42787 -1.82880 -0.04024  0.3792
11 H -1.86665 2.40911 -0.14310  0.3816
12 H 0.54275 2.09524 0.16677  0.4108
13 H -0.02964 -2.12571 0.30648  0.3654
14 H -3.37524 0.47365 -0.24461  0.3833
15 H 3.07817 -0.67200 -1.64363  0.3499
16 H 2.06980 -1.11391 1.20800  0.4191

Its spin multiplicity is 3. Its LUMO energy (alpha / beta) is 0.0206 / -0.1225 Eh. For the electronic energy, the calculation gives -363.549897 a.u. The energy above the lowest of the compared OMol25 structures with the same formula, charge and spin is 1.541 eV. The orbital gap (alpha / beta) comes out at 4.68 / 6.19 eV.

Here is a molecular structure, F2H3N2PS at a distorted geometry from OMol25. Energies are from wB97M-V/def2-TZVPD.

Each line ends with the Mulliken charge.
Positions of all 9 atoms, in Å:
1 S 1.68425 0.00039 0.30619  -0.2721
2 P 1.16422 2.00861 -0.02081  0.4687
3 F -0.16317 2.16702 1.03962  -0.3153
4 F 0.22584 1.80029 -1.36891  -0.2720
5 N -0.63433 -2.13587 0.05922  -0.5983
6 N -0.42848 -0.87812 -0.27333  -0.0158
7 H -0.34598 -0.62715 -1.28412  0.3363
8 H -0.66981 -0.03409 0.39649  0.4167
9 H -0.83254 -2.30109 1.14565  0.2519

Its spin multiplicity is 1. Its LUMO energy (alpha / beta) is -0.0307 / -0.0582 Eh. For the electronic energy, the calculation gives -1050.545176 a.u. The energy above the lowest of the compared OMol25 structures with the same formula, charge and spin is 2.377 eV. The orbital gap (alpha / beta) comes out at 8.07 / 7.26 eV.

What is the spin multiplicity in the first record?
1
>>>
Certainly learned some good lessons for these longer term, dynamic markets. The world changes fast and they're volatile as hell. How to capitalize on that is another story, but for now it's good to just start with the foundation that I should expect the VP market in March to almost certainly look different than it will in July.
I personally think that it will be Harris and that she'll hurt Biden's chances of winning. But man, Pence vs Harris in the VP debates will be fucking feisty and fun as hell to watch.
I still have Biden To Win The Nomination pending. I got in for an average price of -135 to win 12.5 units. That'll be nice when it settles. I also have an awful position for which side will win the popular vote. I basically locked in a small loss since I got in early on Republicans and their price has cratered. If they happen to pull it off I win about 5 units, but if/when the Dems win I'll lose about 1.5u.
Here's everything I have for state bets. Again, these were pretty juicy when I made them weeks ago and they've only gotten better so I don't think anyone will be able to get these prices or anything close to it. I will try to post a lot closer to when I make the bets from now on.
These are all for Democrats to win:
Florida: +130 risk 1.5u
[Unrelated to this entry: data records]
=====
104
Properties=species:S:1:pos:R:3:forces:R:3:mulliken_charge:R:1 method="wB97M-V/def2-TZVPD" homo_ev=-8.15 total_energy_ev=-131597.982
N -30.9660 17.7375 -19.6692 1.3431 -0.5097 -0.8547 0.164
H -31.3938 18.4775 -20.2199 -0.3949 0.2056 0.3773 0.336
H -30.7843 17.8909 -18.6814 -0.3436 0.4685 0.0976 0.229
H -30.0881 17.5295 -20.1389 0.1570 0.0243 0.1010 0.408
H -31.5216 16.8576 -19.7260 -1.1798 -0.6340 0.3406 0.033
N -30.8473 12.9707 -16.3742 0.4000 1.2902 0.4033 0.158
H -29.9924 13.5133 -16.2291 0.4157 -0.4604 0.2251 0.311
H -31.4373 12.9884 -15.5364 0.2099 -0.6162 0.1080 0.618
H -30.6574 12.0472 -16.7360 -0.1819 0.0002 -0.1362 0.396
H -31.3786 13.6369 -16.9684 -0.8504 -0.2846 -0.9831 -0.245
C -32.2758 15.1859 -18.2255 0.6755 0.1882 -0.5869 -0.012
O -31.1120 15.5240 -17.7763 0.5622 0.4250 -0.0220 -0.144
O -32.9104 14.2716 -17.6218 -0.1999 -0.8348 0.9451 -0.774
O -32.7401 15.7092 -19.3037 0.2299 0.5064 -0.3147 -0.648
O -32.3909 18.4377 -21.9071 -0.4618 0.7916 -0.4260 -0.746
S -33.8147 18.4896 -22.1543 -1.0736 -2.5738 0.0385 1.143
O -34.6521 19.5508 -21.6511 0.7923 -0.4336 -0.5918 -0.675
O -34.0113 18.2834 -23.7497 0.5573 0.5440 1.6534 -0.280
C -35.2016 18.8235 -24.3928 0.6460 -0.9461 -0.5251 -0.209
C -35.2435 18.0210 -25.7016 0.3064 0.8891 -0.6516 -1.136
C -34.4202 16.8543 -21.5343 0.5816 1.8805 0.8261 -0.472
H -34.9881 19.8750 -24.5740 -0.3339 0.0126 -0.0125 0.298
H -36.0572 18.6896 -23.7331 -0.0874 0.0980 -0.1569 0.383
H -35.5569 18.6838 -26.5112 -0.5554 -0.1640 0.0555 0.341
H -35.7891 17.0811 -25.7386 -0.2577 0.1910 0.4171 0.304
H -34.2236 17.7911 -26.0140 0.1282 -0.0466 0.3494 0.308
H -34.2633 16.9533 -20.4562 -0.1334 0.0387 0.0404 -0.006
H -33.7065 16.0765 -21.7899 -0.3292 0.0317 -0.6003 -0.079
H -35.4850 16.7242 -21.7066 0.1496 -0.2242 -0.4490 0.692
O -26.4918 15.3209 -17.1846 -1.3389 0.3893 0.9435 -0.629
S -27.5484 15.2896 -16.1854 1.0856 0.4821 -0.5149 1.216
O -28.3036 14.0725 -16.0802 0.1443 0.4173 0.4115 -0.866
O -26.8999 15.5746 -14.7407 -0.5212 -0.9787 -0.5773 -0.394
C -25.9046 16.5903 -14.6695 1.0677 0.9696 -0.0179 -0.326
C -26.1292 17.4476 -13.4381 -0.1702 -0.2206 -0.1782 -1.078
C -28.6327 16.7248 -16.2265 0.5163 -0.1522 -0.0590 -0.563
H -25.8976 17.1714 -15.5932 -0.1740 0.1369 0.0731 0.352
H -24.8892 16.1922 -14.6225 -0.2773 -0.7000 -0.0084 0.410
H -26.8844 18.2090 -13.6311 -0.0067 0.0304 0.2227 0.224
H -25.1866 17.9056 -13.1412 -0.0773 0.1943 -0.0914 0.382
H -26.4438 16.8084 -12.6132 -0.0805 0.0584 0.0140 0.275
H -29.2002 16.7225 -15.2978 -0.0095 -0.2236 -0.0948 0.371
H -29.2870 16.7347 -17.0967 0.0219 -0.3701 -0.0090 -0.145
H -27.9900 17.6038 -16.2014 0.0315 -0.0224 -0.1359 0.491
O -31.3199 19.1585 -17.3427 0.1791 0.2747 1.5678 -0.784
S -31.3873 19.0225 -15.8973 -1.4893 -1.0665 0.1347 1.206
O -30.2293 19.2277 -15.0572 -0.7993 0.0971 -0.6888 -0.651
O -32.6206 19.9980 -15.4327 1.5400 -0.6654 -1.3305 -0.288
C -32.7143 20.2948 -14.0473 -0.6468 0.5425 1.0794 -0.017
C -33.9294 21.2010 -13.8298 -0.7557 -0.1545 0.4360 -1.341
=====
Georgia: +200 risk 1.1u
Iowa: +210 risk 1.1u
Michigan: -175 to win .75u
N. Carolina: +140 risk 1u
Arizona: -105 to win 1.25u
Nevada: -330 to win .85u
Ohio: +160 risk 1u
Texas: +240 risk .75u
Every single one is better than the current PredictIt price which is great. One of my books has Trump to win at +120 which I would love to hit for about 10 units right now and really just round my position out and take the big arb, risk-free money on election night. I really should just make a PI account and bet on Trump to win at 43%, actually. Because as it stands now, if it's a Trump win and he wins a lot of these states, I would take a pretty big hit. Especially if Dems lose the House and the Senate.
Which, for completeness sake, my position is...
Dem to win the house: -300 to win 1u
Dem to win the Senate: +135 risk 1u
Dem to win House and Repub to win Senate: +120 risk .5u
Dem to win House and Senate: +140 risk 1u
And my current total position on to win the overall presidency:
Trump: risk 16.3u to win 12.7u (-130)
Biden: risk 7.7u to win 22u (+285)
Others: loss of 3u
So that is EVERYTHING politics wise. Whew! Plus the 20 something units already in the bank from the primaries. I think I will be looking to get down on some Trump to win in the next couple days or weeks. Feels like the perfect time.
That is it for me. This was a long one, thanks for reading. Oh and I'll have that thing to sign up for email alerts when I have a new post soon, I promise.